Page 34 - Lost Book Remedies
P. 34
_Inserted here: records of molecules_
- - -
Arrangement P

Entry from the OMol25 dataset: 14 unconnected molecules or ions with the total composition H26O17S (wB97M-V/def2-TZVPD).

E_LUMO = 0.14966 hartree

```
! RIJCOSX wB97M-V def2-TZVPD def2/J DEFGRID3
* xyz -2 1
S -0.236 -0.544 -0.219
O 1.110 1.115 5.056
O -1.486 -6.410 -0.990
O 0.979 -0.086 0.431
O -0.528 -1.832 0.455
O 4.115 3.428 -1.322
O 0.003 -0.830 -1.626
O 1.617 -5.064 4.099
O 4.833 4.049 3.757
O 0.836 2.740 -4.491
O 5.579 -2.077 -1.498
O -2.139 -2.091 -6.129
O 2.463 -4.327 -4.469
O -1.992 5.348 0.991
O -1.298 0.441 0.063
O -3.714 -1.700 4.001
O -4.320 3.160 -2.712
O -6.087 3.847 4.446
H -3.533 3.448 -3.175
H 4.635 3.313 4.336
H 1.840 -4.803 -5.018
H -1.725 -1.846 -5.302
H 5.020 3.182 -1.510
H 1.324 -5.972 4.180
H -5.202 3.707 4.111
H 4.832 -2.336 -2.038
H -4.313 -1.168 3.476
H -1.890 -3.006 -6.260
H 1.255 0.922 4.130
H -2.227 -6.341 -1.593
H 0.711 1.831 -4.219
H 1.362 3.129 -3.792
H -1.894 4.401 0.895
H -5.987 3.846 5.398
H -1.302 -5.508 -0.731
H 5.187 -1.640 -0.741
H -3.002 -1.921 3.401
H -2.429 5.627 0.187
H 1.963 -3.585 -4.127
H 1.142 -4.725 3.341
H -3.994 2.585 -2.020
H 0.163 1.233 5.131
H 4.551 3.755 2.891
H 3.776 2.706 -0.791
*
```

=====

Arrangement Q

Entry from the OMol25 dataset: a molecular structure, H26O17S (wB97M-V/def2-TZVPD).

E_LUMO = 0.18498 hartree

```
! RIJCOSX wB97M-V def2-TZVPD def2/J DEFGRID3
* xyz -2 1
S -0.047 0.024 0.016
O 0.427 0.448 3.318
O -1.231 2.542 -1.899
O -0.116 3.171 1.527
O -3.159 2.110 1.015
O -3.577 -0.304 -1.084
O -0.113 -0.781 1.172
O -1.554 -0.035 -3.649
O -0.380 1.370 0.347
O 4.290 0.715 -0.919
O -1.094 -3.061 -1.308
O -2.295 -1.215 2.724
O 1.271 -0.037 -0.481
O 2.210 2.600 -0.615
O 0.304 -2.921 2.441
O 2.039 -1.434 -2.354
O -0.911 -0.498 -1.038
O 3.223 -1.645 0.463
H 2.056 1.694 -0.439
H 5.049 0.312 -0.692
H -2.098 -0.532 -4.105
H -0.778 2.318 -1.138
H 1.384 2.814 0.051
H -1.231 -0.502 -2.762
H -1.305 1.575 -2.351
H 0.137 -0.219 2.514
H -3.852 0.313 -1.809
H -1.137 -2.138 -1.130
H 3.695 0.092 -0.586
H 1.517 -0.919 -1.819
H -2.259 -0.517 3.450
H -2.517 -0.201 -1.133
H -0.266 2.235 1.016
H 3.324 -2.394 0.061
H -0.781 -3.287 -2.196
H 0.410 2.956 2.270
H 2.359 -1.282 0.122
H -0.018 -2.041 1.982
H -0.030 -2.717 3.324
H -3.264 1.240 0.509
H 1.444 0.558 3.528
H -1.471 -0.936 2.388
H 2.636 -1.847 -1.794
H -2.295 2.363 1.077
*
```

=====

Which structure is most stable? arrangement P, by 73.1 kJ/mol over the runner-up.

=====

Arrangement P

Entry from the OMol25 dataset: 15 unconnected molecules or ions with the total composition C4H34O14 (wB97M-V/def2-TZVPD).

E_LUMO = 0.00936 hartree

```
! RIJCOSX wB97M-V def2-TZVPD def2/J DEFGRID3
* xyz 0 1
O -2.714 1.780 2.175
O 1.040 -0.960 2.690
O 2.698 -1.142 -0.767
O 3.018 1.454 -0.449
O -0.308 2.998 1.664
O 1.833 1.386 1.997
O 1.869 3.396 -1.904
O -3.310 -0.744 1.338
O -0.670 3.764 -0.953
O 1.590 -2.774 -2.652
O 0.378 -3.077 1.139
O -1.486 -1.981 2.841
O -2.857 -1.626 -1.205
O -0.751 -3.296 -1.346
C -0.108 -0.023 -2.168
C -0.518 -0.073 0.250
- - -
The Lost Book of Herbal Remedies
How to Harvest
the Healing
Power from Plants
When compared to the timeline of human history, alternative and many of their products have serious
modern medicine hasn’t been around that long. Medi- side effects. This isn’t to say that modern-day medicine
cine has a much longer history than the modern phar- and herbal medicine can’t coexist. They can. But many
maceutical industry. Humankind has used medicines new medicines can be easily replaced by herbs at a
for thousands of years. But the medicines used before fraction of the cost and risk – to both our wallets and
our modern knowledge of science were natural medi- our bodies.
cines, making use of the medicinal qualities of what na- In a post-apocalyptic world, these herbal medicines
ture provides for us.
may be the only thing available to us. If modern man-
The herbal medicines that have always existed still ufacturing and distribution methods become unavail-
work today, just as they have throughout history. What able, we will have to rely on what can be grown locally.
was once our sole medicine still exists, even though the Many of those who have knowledge of herbal medicine
number of people who have knowledge of these natural are already growing and tending the necessary plants
remedies has dwindled. It is our hope that this book and have learned how to turn those plants into usable
will help you relearn and pass on this lost knowledge. medicines.
Herbal medicine is often scoffed at by the pharmaceu- One of the advantages of growing and using your own
tical industry and yet it is the grandparent of much of herbs, as opposed to buying herbal supplements at the
that same modern medicine. Many of today’s pharma- local health food store, is that you know how fresh they
ceuticals try to replicate what nature provides. Most of are and how they’ve been grown. The sooner you can
what we call “medicines” are artificial creations that prepare and store your herbs for use, often the more
have been slightly chemically altered from nature. This potent they are. At the same time, you will know ex-
is necessary, as patent laws don’t permit filing a patent actly what is in any herbal mixture that you create, giv-
on something that exists naturally. Thus, the large ing you the peace of mind that there are no additives
pharmaceutical labs have to come up with a suitable or fillers, and only the herbs you want and need.
How to Harvest Herbs
All herbal medicines start as living beings. They are the wild. It is a useful skill to learn how to identify
not always what most people traditionally think of as medicine in the wild.
herbs. Medicines come from trees, flowers, roots, When looking at pictures for plant identification, be
mushrooms, lichens, and more. While those who are sure to look at pictures that depict plants in the vari-
interested in herbal medicines tend to grow an herb ous stages of their life cycle. A good plant identifica-
garden, some are harvested from plants that grow in
tion guide for your area is essential.